It was painful to watch RoweCom/Faxon unravel. Late in December, just as everyone's thoughts were turning to the holidays, messages of alarm started to show up on various discussion lists—rumors that Faxon had not paid publishers, was not going to pay publishers, might be going out of business. Soon the trickle of messages became a flood, and librarians who had been looking forward to a few days off to spend with friends and family were instead frantically trying to figure out what the status of their renewal orders actually was and trying to imagine how they were going to tell their bosses that tens of thousands or even hundreds of thousands of dollars had been lost. Rumors circulated that EBSCO would buy or that Swets Blackwell would buy. Librarians hoped for a white knight who would somehow make them whole.
Publishers, by and large, were quicker to understand that no one was going to make them whole. They hoped for a deal that would at least minimize their losses. Many publishers announced that they would continue to fill subscriptions, at least for a period of time, while events unfolded.
As I write this, EBSCO is in the final stages of acquiring RoweCom's worldwide operations. Libraries and publishers are trying to decide whether to sign on to the deal. However it finally ends up, it is clear that both the publishers and the libraries involved will take some losses.
Coincidental to this unfolding drama, in December and January, I was focusing on publishing issues from a very different angle, as a member of the newly created library advisory board for the New England Journal of Medicine (NEJM). NEJM had run afoul of librarians two years before, when they first announced that institutional subscribers to the journal would be able to provide electronic access from five designated workstations per subscription held (this was later modified slightly to allow for password access for those institutions where Internet protocol [IP] addresses were dynamically assigned and designating specific workstations was impractical). To librarians, such a scheme appeared to be archaic and foolish, and they were vocal in expressing their dismay.
The individuals in NEJM's publishing group were surprised at the reaction. They had not paid much attention to libraries in the past. Their subscription base is overwhelmingly comprised of individuals. They were shocked to find that all of these nice librarians were suddenly so angry with them. But they listened. At MLA '02 in Dallas, they held a number of sessions with librarians to try to better understand the issues from the librarians' side and, in the late fall of 2002, formed a library advisory board. The first meeting was held in Boston in late January 2003, as the Faxon/RoweCom debacle continued its errant spin.*
At that meeting, we spent quite a bit of time hearing from NEJM representatives about the business issues that they face. They talked to us about circulation patterns and revenue sources and the differences between the domestic and overseas markets. They previewed some of the features they would like to be able to offer in the online version, and they spoke with great pride and almost missionary zeal about the role of NEJM in the advancement of medicine. They presented the general outline of what they were considering as an institutional licensing plan, and there was a vigorous discussion.
While the final details of that licensing plan are not yet clear, what is clear is that it will take librarians' concerns into account better than many of the institutional licenses that we have been exposed to over the last few years. NEJM is taking the trouble to find out what those concerns are, to learn about how the world looks from the library side, and to try to understand the priorities and issues that we face.
Would that we librarians were doing the same as we look at publishers and subscription agents.
It is certain that for many institutions, the license offered by NEJM will cost many times what a current institutional subscription to the print does. It is even more certain that this will result in hysterical cries of price gouging from librarians, who will wring their hands at the awfulness of publishers and their venal, mercenary behavior. This will happen because far too many librarians do not understand the business issues that publishers face and do not seem to have much interest in learning. It is a simple axiom that publishers are bad and that they always charge too much and that they are out to take advantage of libraries.
The majority of librarians that I know have always recoiled against thinking of what they do in business terms. I think that this is gradually changing, but, for many, it is only with regret. We feel that we are tainted in some way, when we start to think in commercial terms. I like to think that this is because of the high idealism that librarians bring to their work, and I agree that we need to struggle hard to maintain that high idealism.
Still, the fact remains, our libraries are businesses. We buy and sell and commit funds and enter into business relationships. If we are to be responsible stewards of the resources of our institutions, we must have a clear understanding of what those business relationships entail.
I remember some years ago, speaking with a newly minted doctoral graduate in library and information science from a good library school. During the course of the conversation, it became clear that he had only the very vaguest notion of what a subscription agent actually did. And I thought about my own library school education and could not recall being taught much about such subjects there either. We had a management class, but it was theory and principles. Until I took my first associate director job, I had never seen an example of a library budget.
My former head of systems says that he has always been convinced that the journal purchasing business has got to be corrupt. True, he is a cynic to begin with, but the notion that we send large sums of money off to an intermediary some six to eighteen months before we expect to receive the product, and that we then rely, without any kind of a binding contract, on that intermediary to make the appropriate arrangements with a multitude of individual suppliers in a timely and efficient fashion, goes against every principle of accounts payable and receivable that he knows. Most institutions have very strict rules to ensure that either you do not pay for something until you have it in hand or that you have very specific contractual language binding both parties to certain standards of performance. The only time, it seems, that those rules go out the window, is when the librarian puts through a purchase order to send off a huge check to a subscription agent.
One result of the RoweCom collapse is that it may be more difficult to operate that way. Purchasing agents in institutions that have been burned are going to insist on more accountability and better checks and balances. This is probably a good thing.
But another result should be a far greater degree of attention paid by librarians to the business practices of the companies that we work with. How many of you reading this actually know how the money flows once you send it to the subscription agent? Where does the agent's profit actually come from? How is the service charge actually calculated? What, in fact, are you actually paying for? And what guarantees do you have that you are going to get what you paid for?
These calculated crystals were left in the article by mistake
# 1
Material: TiAu
Method: DFT, GGA-PBE
State: relaxed

Calculated formation energy, eV per atom: -0.3873
Energy, eV per atom: -5.972
V, Å³/cell: 69.0

a b c (Å): 3.0130 4.6386 4.9357
angles (deg): 90.00 90.00 90.00
Last column: nearest neighbours and their distance in Å.
Positions (direct):
Au (0.5000, 0.2500, 0.1812)  8 Ti 2.84-2.92, 4 Au 2.93-3.01
Au (0.5000, 0.7500, 0.8188)  8 Ti 2.84-2.92, 4 Au 2.93-3.01
Ti (0.0000, 0.2500, 0.6870)  8 Au 2.84-2.92, 4 Ti 2.96-3.01
Ti (0.0000, 0.7500, 0.3130)  8 Au 2.84-2.92, 4 Ti 2.96-3.01

=====

# 2
Material: K6Rh2C12O33
Method: DFT, GGA-PBE
State: relaxed

Calculated formation energy, eV per atom: -0.9937
Energy, eV per atom: -6.568
Spin magnetization, μB/cell: 8.6
V, Å³/cell: 880.1

a b c (Å): 6.8927 10.3921 12.5806
angles (deg): 78.08 88.49 86.65
Last column: nearest neighbours and their distance in Å.
Positions (direct):
Rh (0.1637, 0.1850, 0.7112)  6 O 2.03-2.05
Rh (0.8396, 0.8142, 0.2859)  6 O 2.03-2.06
O (0.3832, 0.8487, 0.6304)  1 C 1.24
O (0.9808, 0.6335, 0.3173)  1 C 1.30
O (0.0459, 0.8377, 0.9786)  1 C 1.25
O (0.5782, 0.3954, 0.1520)  1 O 1.32
O (0.9524, 0.1584, 0.0177)  1 C 1.25
O (0.4940, 0.5999, 0.8502)  1 O 1.24
O (0.1571, 0.1695, 0.5520)  1 C 1.31
O (0.8269, 0.7830, 0.8571)  1 O 2.35
O (0.2275, 0.0228, 0.4468)  1 C 1.24
O (0.0256, 0.3669, 0.6820)  1 C 1.30
O (0.5375, 0.5195, 0.1045)  2 O 1.31-1.32
O (0.6834, 0.0769, 0.8893)  1 C 1.23
O (0.7772, 0.9808, 0.5483)  1 C 1.24
O (0.0816, 0.5795, 0.6166)  1 C 1.24
O (0.6184, 0.1524, 0.3643)  1 C 1.24
O (0.6029, 0.7036, 0.3313)  1 C 1.31
O (0.5261, 0.4925, 0.3851)  1 C 1.24
O (0.9278, 0.4208, 0.3828)  1 C 1.24
O (0.4022, 0.2948, 0.6692)  1 C 1.31
O (0.2655, 0.3931, 0.9674)  1 O 1.24
O (0.6956, 0.9953, 0.2690)  1 C 1.30
O (0.1197, 0.4544, 0.9942)  1 O 1.24
O (0.4832, 0.5063, 0.6229)  1 C 1.24
O (0.9064, 0.1003, 0.7533)  1 C 1.30
O (0.3044, 0.0037, 0.7272)  1 C 1.30
O (0.0935, 0.9007, 0.2416)  1 C 1.30
O (0.3668, 0.5700, 0.1279)  1 O 1.31
O (0.8499, 0.8339, 0.4438)  1 C 1.31
O (0.6275, 0.5141, 0.8696)  1 O 1.24
O (0.8401, 0.8061, 0.1240)  1 C 1.29
O (0.1625, 0.1863, 0.8741)  1 C 1.29
O (0.3121, 0.9302, 0.1041)  1 C 1.23
O (0.1630, 0.2079, 0.1427)  1 O 2.32
C (0.1396, 0.4629, 0.6475)  2 O 1.24-1.30
C (0.8452, 0.1070, 0.8509)  2 O 1.23-1.30
C (0.6470, 0.5770, 0.3571)  2 O 1.24-1.31
C (0.0015, 0.8406, 0.0748)  2 O 1.25-1.29
C (0.9985, 0.1557, 0.9215)  2 O 1.25-1.29
C (0.7801, 0.9493, 0.4587)  2 O 1.24-1.31
C (0.1532, 0.8952, 0.1436)  2 O 1.23-1.30
C (0.3609, 0.4221, 0.6460)  2 O 1.24-1.31
C (0.6914, 0.0426, 0.3573)  2 O 1.24-1.30
C (0.2251, 0.0543, 0.5363)  2 O 1.24-1.31
C (0.8679, 0.5370, 0.3528)  2 O 1.24-1.30
C (0.3109, 0.9587, 0.6378)  2 O 1.24-1.30
K (0.5506, 0.1450, 0.0819)  6 O 2.72-2.93
K (0.7398, 0.2521, 0.5447)  6 O 2.75-2.99
K (0.7394, 0.7044, 0.6553)  7 O 2.71-2.99
K (0.2623, 0.7501, 0.4497)  7 O 2.77-3.05
K (0.4513, 0.8650, 0.9198)  5 O 2.69-2.89
K (0.2796, 0.3177, 0.3219)  5 O 2.75-2.95

=====

# 3
Similarly, how aware are you of the economic pressures faced by publishers? Sure, Elsevier Science may be running a 30% profit margin, but, in most of the publishing business, the margin is 5% or less. For a small society publisher, a precipitious drop in subscriptions caused by the introduction of easily available electronic access could mean ruin. We grumble among ourselves that some of the decisions publishers make must be intended to make our lives miserable, so perverse do some of those decisions seem. But our failure to understand the real pressures and issues that publishers face leads to our incomprehension.
Certainly, many publishers that we deal with are equally uncomprehending about the ways that libraries operate, about the realities of our budget battles in our own institutions, and about the timeframes in which we need to make purchasing decisions. This is part of what has made the NEJM advisory board experience so fascinating. It reveals, in microcosm, how much librarians and publishers need to learn from each other.
### These crystal structures were left in the page by mistake
-- begin --
Entry 1:
Crystalline Tm2CoCu at its relaxed geometry, computed with meta-GGA r2SCAN.

Lattice parameters (Å, degrees): 4.7338 4.7338 4.7338 60.00 60.00 60.00
Last column: nearest neighbours and their distance in Å.
Positions (direct):
Tm: 0.2500 0.2500 0.2500  4 Cu 2.90, 4 Co 2.90
Tm: 0.7500 0.7500 0.7500  4 Co 2.90, 4 Cu 2.90
Co: 0.0000 0.0000 0.0000  8 Tm 2.90
Cu: 0.5000 0.5000 0.5000  8 Tm 2.90

Output
ΔE_f   -86 kJ/mol of formula units
Crystal system   cubic
E   -23.80 eV/atom

***

Entry 2:
Crystalline Dy3Co at its relaxed geometry, computed with meta-GGA r2SCAN.

Lattice parameters (Å, degrees): 6.8572 9.4431 6.2169 90.00 90.00 90.00
Last column: nearest neighbours and their distance in Å.
Positions (direct):
Dy: 0.0464 0.2500 0.1415  2 Co 2.61-2.71
Dy: 0.1721 0.0691 0.6796  2 Co 2.72-2.85
Dy: 0.1721 0.4309 0.6796  2 Co 2.72-2.85
Dy: 0.3279 0.5691 0.1796  2 Co 2.72-2.85
Dy: 0.3279 0.9309 0.1796  2 Co 2.72-2.85
Dy: 0.4536 0.7500 0.6415  2 Co 2.61-2.71
Dy: 0.5464 0.2500 0.3585  2 Co 2.61-2.71
Dy: 0.6721 0.0691 0.8204  2 Co 2.72-2.85
Dy: 0.6721 0.4309 0.8204  2 Co 2.72-2.85
Dy: 0.8279 0.5691 0.3204  2 Co 2.72-2.85
Dy: 0.8279 0.9309 0.3204  2 Co 2.72-2.85
Dy: 0.9536 0.7500 0.8585  2 Co 2.61-2.71
Co: 0.1110 0.7500 0.4585  6 Dy 2.61-2.85
Co: 0.3890 0.2500 0.9585  6 Dy 2.61-2.85
Co: 0.6110 0.7500 0.0415  6 Dy 2.61-2.85
Co: 0.8890 0.2500 0.5415  6 Dy 2.61-2.85

Output
ΔE_f   -34 kJ/mol of formula units
Crystal system   orthorhombic
E   -27.38 eV/atom

***

Entry 3:
Crystalline DyCo2 at its relaxed geometry, computed with meta-GGA r2SCAN.

Lattice parameters (Å, degrees): 5.0507 5.0507 5.0507 60.00 60.00 60.00
Last column: nearest neighbours and their distance in Å.
Positions (direct):
Dy: 0.1250 0.1250 0.1250  12 Co 2.96, 4 Dy 3.09
Dy: 0.8750 0.8750 0.8750  12 Co 2.96, 4 Dy 3.09
Co: 0.0000 0.5000 0.5000  6 Co 2.53
Co: 0.5000 0.0000 0.5000  6 Co 2.53
Co: 0.5000 0.5000 0.0000  6 Co 2.53
Co: 0.5000 0.5000 0.5000  6 Co 2.53

Output
ΔE_f   -39 kJ/mol of formula units
Crystal system   cubic
E   -19.62 eV/atom

***

Entry 4:
Crystalline Dy4Co3 at its relaxed geometry, computed with meta-GGA r2SCAN.

Lattice parameters (Å, degrees): 4.0156 11.2634 11.2676 60.28 89.87 89.73
Last column: nearest neighbours and their distance in Å.
Positions (direct):
Dy: 0.2449 0.2822 0.4647  3 Co 2.75-2.87
Dy: 0.2494 0.4641 0.7540  3 Co 2.76-2.87
Dy: 0.2486 0.7534 0.2816  3 Co 2.76-2.87
Dy: 0.2519 0.0154 0.3656  7 Co 2.85-3.06
Dy: 0.2516 0.1189 0.0150  7 Co 2.86-3.04
Dy: 0.2516 0.3663 0.1187  7 Co 2.85-3.04
Dy: 0.7484 0.6337 0.8813  7 Co 2.85-3.04
Dy: 0.7484 0.8811 0.9850  7 Co 2.86-3.04
Dy: 0.7481 0.9846 0.6344  7 Co 2.85-3.06
Dy: 0.7514 0.2466 0.7184  3 Co 2.76-2.87
Dy: 0.7506 0.5359 0.2460  3 Co 2.76-2.87
Dy: 0.7551 0.7178 0.5353  3 Co 2.75-2.87
Co: 0.2501 0.8331 0.8331  3 Co 2.27-2.28
Co: 0.2510 0.0554 0.7823  1 Co 2.28
Co: 0.2512 0.6623 0.0554  1 Co 2.28
Co: 0.2510 0.7814 0.6620  1 Co 2.27
Co: 0.5000 0.5000 0.5000  6 Dy 2.87
Co: 0.7490 0.2186 0.3380  1 Co 2.27
-- stop --
The unease that we feel about thinking about our libraries as businesses seems to stem from a concern that we will become focused on costs at the expense of service. But there is no reason that this should be so. To think of the library as a business does indeed require keeping a relentless eye on the bottom line—but our bottom line is service. To think of the library as a business is to question every decision that we make and to ask ourselves is this the best use I can make of this resource—whether that resource be money, or people, or space, or creativity. Will this course of action improve my bottom line—that is, my ability to provide exemplary service to my clientele—or am I wasting resources by not making the most efficient use of them?
To think in this way also means taking a hard-headed, realistic look at the environment in which we operate and striving to understand the motivations and pressures felt by the individuals we deal with. Publishers make rational decisions based on what they perceive as their own best interest. One's personal relationship with a valued customer service representative is not necessarily an indicator of the health of that representative's company. Ambitious young faculty members will publish in Elsevier journals as long as those journals are perceived to be the highest quality journals in their fields. Deans and hospital chief executive officers will allocate resources to those parts of their organizations that appear to be most likely to promote the overall goals and financial health of the enterprise. When someone makes a decision that strikes you as crazy, it is most likely that you are not looking hard enough to see the world from their side. You may not agree with the decision, but unless you understand it, you cannot deal with the consequences of it effectively.
None of this implies that we put our devotion to service in jeopardy. Indeed, it seems to me to be the only way that we can be sure to meet the highest standards of our profession. Only when we have a clear understanding of what motivates the decisions of all of those that we interact with, can we be sure that our own decisions are the best that they can be.
For most of us, our libraries are a passion. We would not be doing this otherwise. We put up with a lot because we believe that we are pursuing a noble calling and contributing to the greater good. I believe that, and it helps me get through some difficult days. But it is still a business. It is your business.
Change in copyright policy
At their January 2003 meeting, the members of the MLA Board of Directors approved a motion to revise the copyright policy for the Journal of the Medical Library Association (JMLA). As is the case with most scholarly journals, the JMLA routinely required authors to sign a form transferring all rights to the association. Late last summer, that policy was challenged by several MLA members who pointed out that it was somewhat contradictory that at a time when we, as a profession, were urging the scholars that we serve to pay more attention to preserving their own copyrights, we, as a professional society, were still demanding that our own authors give up those rights.
During the fall, then, a new copyright policy was devised that acknowledges that JMLA authors retain the rights to their work. MLA is given the right of first publication and the right to republish the work in whatever fashion the JMLA may be republished in the future (for example, as part of an aggregated database). Individuals wishing to make copies of articles for educational, nonprofit purposes are still entitled to. But the authors are now free to make whatever further use of their work they wish, and, if some other person or entity wants to republish or make some other use of the work in the future, they need to get those permissions directly from the authors.
I am very grateful to the members of the JMLA editorial board, the chair and incoming chair of the publications committee, and MLA headquarters staff who helped craft the new policy. And I am especially grateful to those MLA members who challenged us to put our policy where our principles are. The new policy is posted on MLANET† and takes effect with this issue.
* As of spring, 2003, the members of the advisory board are: Philip Davis, Cornell University, Ithaca, NY; Jon Eldredge, AHIP, University of New Mexico, Albuquerque; Rick Forsman, AHIP, University of Colorado, Denver; Ruth Holst, AHIP, University of Illinois at Chicago; Susan Schweinsberg Long, AHIP, Virginia Mason Medical Center, Seattle; Elizabeth Lorbeer, Rush Presbyterian Hospital, Chicago; Judith Messerle, AHIP, Harvard Medical School, Boston; T. Scott Plutchak, AHIP, University of Alabama at Birmingham; and Britain Roth, AHIP, Geisinger Health Systems, Danville, PA.
† The copyright policy may be viewed at